BBC Deny Saying ‘Denier’! BBC: ‘We tend to refer in our output to ‘sceptics’ because the word ‘denier’can be regarded in some circumstances as pejorative’

........
Record 1
Entry from Materials Project: a relaxed V2NiP crystal (PBE).

Results
Its spin magnetization is 0.0 μB per cell. The density is 6.63 g cm⁻³. Its energy of formation from the pure elements is -1.70 eV per formula unit.

Lattice parameters (Å, degrees): 3.539 3.539 3.828 90.00 90.00 90.00
Atoms (fractional coordinates):
1 V 0.000 0.500 0.000
2 V 0.500 0.000 0.000
3 Ni 0.000 0.000 0.500
4 P 0.500 0.500 0.500

***

Record 2
Entry from Materials Project: a relaxed NiPW crystal (PBE).

Results
Its spin magnetization is 0.0 μB per cell. The density is 12.20 g cm⁻³. Its energy of formation from the pure elements is -1.05 eV per formula unit.

Lattice parameters (Å, degrees): 5.835 5.835 3.786 90.00 90.00 120.00
Atoms (fractional coordinates):
1 Ni 0.000 0.747 0.000
2 Ni 0.253 0.253 0.000
3 Ni 0.747 0.000 0.000
4 P 0.000 0.000 0.500
5 P 0.333 0.667 0.000
6 P 0.667 0.333 0.000
7 W 0.000 0.415 0.500
8 W 0.415 0.000 0.500
9 W 0.585 0.585 0.500

***

Record 3
Entry from Materials Project: a relaxed Ni4P16W crystal (PBE).

Results
Its spin magnetization is 0.0 μB per cell. The density is 4.94 g cm⁻³. Its energy of formation from the pure elements is -5.84 eV per formula unit.

Lattice parameters (Å, degrees): 10.245 10.245 11.162 100.51 100.51 32.28
Atoms (fractional coordinates):
1 Ni 0.012 0.200 0.074
2 Ni 0.195 0.305 0.372
3 Ni 0.200 0.012 0.574
4 Ni 0.305 0.195 0.872
5 Ni 0.695 0.805 0.128
6 Ni 0.800 0.988 0.426
7 Ni 0.805 0.695 0.628
8 Ni 0.988 0.800 0.926
9 P 0.009 0.114 0.868
10 P 0.015 0.267 0.280
11 P 0.114 0.009 0.368
12 P 0.116 0.441 0.188
13 P 0.147 0.279 0.554
14 P 0.220 0.656 0.420
15 P 0.259 0.733 0.893
16 P 0.267 0.015 0.780
17 P 0.267 0.741 0.607
18 P 0.279 0.147 0.054
19 P 0.319 0.397 0.957
20 P 0.344 0.780 0.080
21 P 0.374 0.384 0.661
22 P 0.384 0.374 0.161
23 P 0.397 0.319 0.457
24 P 0.441 0.116 0.688
25 P 0.559 0.884 0.312
26 P 0.603 0.681 0.543
27 P 0.616 0.626 0.839
28 P 0.626 0.616 0.339
29 P 0.656 0.220 0.920
30 P 0.681 0.603 0.043
31 P 0.721 0.853 0.946
32 P 0.733 0.259 0.393
33 P 0.733 0.985 0.220
34 P 0.741 0.267 0.107
35 P 0.780 0.344 0.580
36 P 0.853 0.721 0.446
37 P 0.884 0.559 0.812
38 P 0.886 0.991 0.632
39 P 0.985 0.733 0.720
40 P 0.991 0.886 0.132
41 W 0.395 0.605 0.250
42 W 0.605 0.395 0.750

***

Record 4
Entry from Materials Project: a relaxed YNiP crystal (PBE).

Results
Its spin magnetization is 0.0 μB per cell. The density is 5.78 g cm⁻³. Its energy of formation from the pure elements is -2.11 eV per formula unit.

Lattice parameters (Å, degrees): 5.306 5.306 11.709 90.00 90.00 141.48
Atoms (fractional coordinates):
1 Y 0.196 0.804 0.613
2 Y 0.196 0.804 0.887
3 Y 0.804 0.196 0.113
4 Y 0.804 0.196 0.387
5 Ni 0.476 0.524 0.750
6 Ni 0.500 0.500 0.000
7 Ni 0.500 0.500 0.500
8 Ni 0.524 0.476 0.250
9 P 0.086 0.914 0.117
10 P 0.086 0.914 0.383
11 P 0.914 0.086 0.617
12 P 0.914 0.086 0.883

***

Record 5
Entry from Materials Project: a relaxed Y2Ni12P7 crystal (PBE).

Results
........
_End of the calculated crystals_

BBC Deny Saying Denier!

By Paul Homewood Stewgreen passes on this comment on Bishop Hill, regarding complaints to the BBC: @TerryS just shared this on Bishop-Hill I sent them a FOI request asking for copies of any formal or informal guidance on the use of the term “denier”. I also asked for their definition of a “denier”. This is the response I got: The information you have requested is out of scope of the Act. However, we are happy to explain there is no formal guidance on the use of the word “denier” in relation to climate change. I would be surprised if you had heard BBC presenters or correspondents referring to “deniers” except in circumstances when they are quoting remarks by other people. Generally we tend to refer in our output to “sceptics” because the word “denier” can be regarded in some circumstances as pejorative. I have done a search on the word and can only find it used by interviewees or people in the news.” Since the BBC recognise that the term is a pejorative you should raise a formal complaint whenever you hear one of their presenters use it. This is a very good point. Let’s all keep our ears and eyes open, and make sure that a complaint is raised every time the denier word is used.

**Crystal structures that have nothing to do with the entry:**
........
[1]
Material: DyInCo4
Method: DFT, GGA-PBE
State: relaxed

Summary:
Symmetry = F-43m (216)
DFT total energy = -36.63 eV for the cell shown
Formation energy from the elements = -0.139 eV/atom
Crystal system = cubic

CIF file:
```
data_DyInCo4
_chemical_formula_sum 'Dy1 In1 Co4'
_space_group_name_H-M_alt 'P 1'
_space_group_IT_number 1
_space_group_name_Hall 'P 1'
_cell_length_a 4.988
_cell_length_b 4.988
_cell_length_c 4.988
_cell_angle_alpha 60.00
_cell_angle_beta 60.00
_cell_angle_gamma 60.00
loop_
_atom_site_label
_atom_site_fract_x
_atom_site_fract_y
_atom_site_fract_z
_atom_site_occupancy
Dy1 0.750 0.750 0.750 1
In1 0.000 0.000 0.000 1
Co1 0.375 0.375 0.375 1
Co2 0.876 0.375 0.375 1
Co3 0.375 0.876 0.375 1
Co4 0.375 0.375 0.876 1
```



[2]
Material: SrSbPt
Method: DFT, GGA-PBE
State: relaxed

Summary:
Symmetry = P-6m2 (187)
DFT total energy = -14.74 eV for the cell shown
Formation energy from the elements = -0.952 eV/atom
Crystal system = hexagonal

CIF file:
```
data_SrSbPt
_chemical_formula_sum 'Sr1 Sb1 Pt1'
_space_group_name_H-M_alt 'P 1'
_space_group_IT_number 1
_space_group_name_Hall 'P 1'
_cell_length_a 4.561
_cell_length_b 4.568
_cell_length_c 4.568
_cell_angle_alpha 120.00
_cell_angle_beta 90.00
_cell_angle_gamma 90.00
loop_
_atom_site_label
_atom_site_fract_x
_atom_site_fract_y
_atom_site_fract_z
_atom_site_occupancy
Sr1 0.000 0.000 0.000 1
Sb1 0.500 0.667 0.333 1
Pt1 0.500 0.333 0.667 1
```



[3]
Material: YClO2
Method: DFT, GGA-PBE
State: relaxed

Summary:
Symmetry = Pnma (62)
DFT total energy = -99.05 eV for the cell shown
Energy above the lowest structure with this stoichiometry = 77 meV per atom
Formation energy from the elements = -1.981 eV/atom
Crystal system = orthorhombic

CIF file:
```
data_YClO2
_chemical_formula_sum 'Y4 Cl4 O8'
_space_group_name_H-M_alt 'P 1'
_space_group_IT_number 1
_space_group_name_Hall 'P 1'
_cell_length_a 3.596
_cell_length_b 6.278
_cell_length_c 11.896
_cell_angle_alpha 90.00
_cell_angle_beta 90.00
_cell_angle_gamma 90.00
loop_
_atom_site_label
_atom_site_fract_x
_atom_site_fract_y
_atom_site_fract_z
_atom_site_occupancy
Y1 0.250 0.752 0.081 1
Y2 0.750 0.248 0.919 1
Y3 0.750 0.252 0.419 1
Y4 0.250 0.748 0.581 1
Cl1 0.250 0.096 0.261 1
Cl2 0.750 0.904 0.739 1
Cl3 0.750 0.596 0.239 1
Cl4 0.250 0.404 0.761 1
O1 0.250 0.403 0.029 1
O2 0.750 0.597 0.971 1
O3 0.750 0.903 0.471 1
O4 0.250 0.097 0.529 1
O5 0.250 0.509 0.436 1
O6 0.750 0.491 0.564 1
O7 0.750 0.009 0.064 1
O8 0.250 0.991 0.936 1
```
........

— gReader Pro…

=====
## LiMgH6Ir (PBE-GGA)

Data for a relaxed LiMgH6Ir crystal.

Cell lengths 6.6634, 6.6634, 6.6634 Å; angles 90.00, 90.00, 90.00 degrees
Closest atoms and distances in Å follow each position.
Fractional positions:
1 Li 0.0000 0.0000 0.5000  12 H 2.33-2.36
2 Li 0.0000 0.5000 0.0000  12 H 2.33-2.36
3 Li 0.5000 0.0000 0.0000  12 H 2.33-2.36
4 Li 0.0000 0.0000 0.0000  12 H 2.35
5 Mg 0.5000 0.5000 0.5000  12 H 2.38
6 Mg 0.0000 0.5000 0.5000  12 H 2.36
7 Mg 0.5000 0.0000 0.5000  12 H 2.36
8 Mg 0.5000 0.5000 0.0000  12 H 2.36
9 H 0.7524 0.7524 0.5072  1 Ir 1.67
10 H 0.2476 0.2476 0.5072  1 Ir 1.67
11 H 0.0065 0.7504 0.7504  1 Ir 1.67
12 H 0.2496 0.9935 0.7504  1 Ir 1.67
13 H 0.7504 0.0065 0.7504  1 Ir 1.67
14 H 0.9935 0.2496 0.7504  1 Ir 1.67
15 H 0.7524 0.5072 0.7524  1 Ir 1.67
16 H 0.5072 0.7524 0.7524  1 Ir 1.67
17 H 0.4928 0.2476 0.7524  1 Ir 1.67
18 H 0.2476 0.4928 0.7524  1 Ir 1.67
19 H 0.2496 0.7504 0.9935  1 Ir 1.67
20 H 0.7504 0.2496 0.9935  1 Ir 1.67
21 H 0.7504 0.7504 0.0065  1 Ir 1.67
22 H 0.2496 0.2496 0.0065  1 Ir 1.67
23 H 0.2476 0.5072 0.2476  1 Ir 1.67
24 H 0.4928 0.7524 0.2476  1 Ir 1.67
25 H 0.5072 0.2476 0.2476  1 Ir 1.67
26 H 0.7524 0.4928 0.2476  1 Ir 1.67
27 H 0.9935 0.7504 0.2496  1 Ir 1.67
28 H 0.7504 0.9935 0.2496  1 Ir 1.67
29 H 0.2496 0.0065 0.2496  1 Ir 1.67
30 H 0.0065 0.2496 0.2496  1 Ir 1.67
31 H 0.2476 0.7524 0.4928  1 Ir 1.67
32 H 0.7524 0.2476 0.4928  1 Ir 1.67
33 Ir 0.2568 0.7432 0.7432  6 H 1.67
34 Ir 0.7432 0.2568 0.7432  6 H 1.67
35 Ir 0.7432 0.7432 0.2568  6 H 1.67
36 Ir 0.2568 0.2568 0.2568  6 H 1.67

Values from the calculation:
Piezoelectric modulus e_max ... 0.02 C/m²
Total DFT energy (no corrections) ... -4.034 eV/atom
Total magnetic moment ... 0.00 μB per atom
Formation energy ... -400 meV per atom
=====

Do Greenhouse Gases Affect Antarctica? NASA Empirical Evidence Proves They Don’t

Do Greenhouse Gases Affect Antarctica? NASA Empirical Evidence Proves They Don’t

#tcot #gop #agw CAGW proponents have a long-held belief that CO2 emissions and other greenhouse gases are rapidly warming the Antarctica continent along with the surrounding oceans…further, this out-of-control warming is quickly melting sea ice and the South Pole’s massive…

— gReader Pro…

‘EPA uses junk science to wage war on coal’

EPA uses junk science to wage war on coal

The Obama Administration, through the corrupted Environmental Protection Agency, promised to kill the U.S. coal industry and they are already far along toward their goal. Along with it, they are wreaking havoc on the U.S. economy and threatening power outages of mammoth proportions. To justify this, they cite so-called scientific studies that are kept secret so that their findings cannot be easily challenged. But there’s more — other job-killing regulations also not backed by sound, peer reviewable science — that will take the U.S. further away from long-term prosperity. Can this onslaught be stopped or even slowed down?

— gReader Pro…